Engineer Your Pneumatic Actuator for Application Challenges

As you consider the many actuators available from various manufacturers, you may need to look beyond off-the-shelf cylinders in order to satisfy a desired performance benchmark or stand up to a challenging operating condition. In these instances, you can choose to modify your actuator, specify special features or add accessories to achieve the performance or reliability your application demands. This blog post — the third in our series on interchangeable actuators — presents some common issues you may need to confront when choosing a pneumatic cylinder along with considerations to help meet the challenge:
When you need end position cushioning:
+++
Entry 1:
ORCA calculation (the ωB97M-V functional and the def2-TZVPD basis) on a structure of composition C6H3F3NRhSSe3Te.

```
19
Properties=species:S:1:pos:R:3:forces:R:3:lowdin_spin:R:1
Rh -2.309 -1.229 1.623 -0.2 0.4 0.1 1.00
Se -3.122 -3.328 0.716 -0.1 -0.2 -0.1 0.21
Se -1.659 -4.939 1.491 0.0 0.1 0.0 0.45
Te 0.582 -4.120 0.979 0.0 0.0 0.0 0.93
Se -0.283 -1.738 -0.868 -0.1 -0.1 -0.1 0.46
F -0.254 3.422 1.154 0.0 0.0 -0.1 0.00
C -0.293 2.939 -0.104 0.0 -0.1 0.1 0.00
F 0.534 3.710 -0.834 0.0 0.0 0.0 0.00
F -1.533 3.156 -0.575 0.1 0.0 0.0 0.00
C 0.086 1.470 -0.151 -0.4 0.0 0.2 0.04
C 1.278 1.162 -0.776 0.4 0.0 -0.2 0.18
C 1.980 -0.057 -0.987 -0.1 0.0 0.0 0.07
C 1.530 -1.334 -1.007 0.0 0.1 0.1 0.19
N -0.670 -0.722 0.690 0.2 -0.1 0.0 0.08
C -0.772 0.618 0.572 0.0 0.0 0.0 0.20
S -2.174 1.062 1.563 0.2 -0.2 0.0 0.18
H 1.828 2.023 -1.134 0.0 0.0 0.0 0.01
H 3.037 0.065 -1.204 0.0 0.0 0.0 0.00
H 2.215 -2.160 -1.146 -0.1 0.0 0.0 0.01
```
Positions in Å, forces in eV/Å.

For the highest occupied orbital energy (spin up / spin down), the calculation gives -0.25723 / -0.30714 Ha. The expectation value of S² is 6.051. For the total energy, the calculation gives -8565.72563 a.u. The LUMO energy (spin up / spin down) comes out at -1.1 / -3.0 eV. The multiplicity is 5. For the molecular weight, the calculation gives 645.54 g/mol. The calculation puts the relative energy (zero: lowest compared OMol25 entry of this formula, charge and spin) at 93.2 kcal per mole.



Entry 2:
ORCA calculation (the ωB97M-V functional and the def2-TZVPD basis) on a cluster of 2 separate species, C6H3F5N2 in total in a non-equilibrium geometry.

```
16
Properties=species:S:1:pos:R:3:forces:R:3:nbo_charge:R:1
C 0.530 0.774 1.528 0.3 -0.6 0.7 0.22
C 0.522 -1.494 0.524 0.6 -1.1 0.5 0.21
C -1.037 0.287 -0.412 0.1 -0.2 -0.2 -0.52
C 2.485 0.836 -0.786 -1.6 1.7 -0.8 0.60
C 0.097 -0.141 0.500 1.0 1.3 -0.1 -0.15
C -2.173 -0.628 -0.007 -3.1 0.1 -0.6 0.98
N 0.913 1.399 2.434 -0.5 -0.5 -1.2 -0.24
N 0.840 -2.617 0.600 -0.3 1.7 -0.3 -0.23
F 2.189 1.301 -1.993 -0.2 0.9 -0.1 -0.32
F 3.034 1.778 -0.037 0.0 -1.7 -0.4 -0.28
F -3.339 -0.322 -0.688 1.1 0.2 0.0 -0.34
F -2.556 -0.558 1.288 0.9 0.4 -0.2 -0.32
F -1.944 -1.901 -0.265 0.4 -0.5 -0.2 -0.31
H -1.353 1.322 -0.171 0.3 -0.6 -0.3 0.27
H -0.819 0.159 -1.534 -0.4 0.2 1.7 0.27
H 2.611 -0.195 -0.983 1.4 -1.3 1.5 0.17
```
Positions in Å, forces in eV/Å.

For the highest occupied orbital energy (spin up / spin down), the calculation gives -0.37095 / -0.34666 Ha. For the total energy, the calculation gives -839.13124 a.u. The LUMO energy (spin up / spin down) comes out at -0.5 / -2.7 eV. For the molecular weight, the calculation gives 198.09 g/mol. The calculation puts the relative energy (zero: lowest compared OMol25 entry of this formula, charge and spin) at 42.9 kcal per mole.

----------

{
  "formula": "C17H28NO3",
  "method": "the ωB97M-V functional and the def2-TZVPD basis",
+++
The article goes on =
For low-energy applications with shorter strokes and slow speeds, elastomer bumpers can be integrated onto the piston head or into the head and cap of the cylinder body.
Another option — air cushions — protects the cylinder in applications requiring higher energy to support high speeds or a larger mass. Air cushions trap air between the cushion seal and the piston, forcing the air through a small exhaust orifice, creating a backpressure that slows down the piston before it reaches the end cap. Some air cushions come with a fixed orifice air pathway, but most are manually adjustable using a screwdriver. A third option — self-adjusting air cushions — sends the air through tapered slots in the cushion spear, creating optimal cushioning even when application conditions change.
When you need maximum force output:
Output force (F) = operating pressure (P) x the piston surface area (A)
Misplaced data records:
____________
Entry 1:
Formula: C2H7NO
Source: OMol25
Level of theory: wB97M-V/def2-TZVPD

The calculation puts the electronic energy at -5719.1080 eV. The energy above the lowest of the compared OMol25 structures with the same formula, charge and spin is 141.4 kcal/mol. The net charge is 0. For the largest force on an atom, the calculation gives 8.02 eV/A. The orbital gap is 8.880 eV.

Last column: Mulliken charge in e.
Atoms and positions in Å:
C1 -0.539383 0.296305 0.051860  -0.54
C2 0.732216 0.951656 0.494864  -1.02
N1 -0.557951 -0.822674 -0.712440  -0.24
O1 0.449254 -1.711320 -0.484711  -0.33
H1 0.014415 -2.577089 -0.432312  0.36
H2 -0.820179 0.103183 -1.773621  0.25
H3 -1.397478 0.933367 -0.120966  0.42
H4 -1.014130 -0.529262 1.152207  0.18
H5 0.567567 1.434155 1.459904  0.32
H6 1.535244 0.229628 0.613999  0.31
H7 1.030426 1.692052 -0.248785  0.30

Forces on atoms 1 to 6 (eV/Å):
-1.1216 -2.5969 7.5070
-0.0018 0.3812 -0.1263
-3.3490 1.8991 -5.7274
1.0517 0.4782 -0.5120
-0.1190 0.3916 -0.2941
2.0493 -3.7910 0.9795

Entry 2:
Formula: C21H35FP2Pd
Source: OMol25
Level of theory: wB97M-V/def2-TZVPD

The calculation puts the electronic energy at -47109.8355 eV. The energy above the lowest of the compared OMol25 structures with the same formula, charge and spin is 88.2 kcal/mol. The net charge is 0. For the largest force on an atom, the calculation gives 4.80 eV/A. The multiplicity is 3. The orbital gap (alpha / beta) is 6.338 / 6.723 eV.

Last column: Mulliken charge in e.
Atoms and positions in Å:
P1 -0.345841 -1.579800 -2.417421  1.38
P2 0.804270 1.564008 -0.788043  1.22
C1 0.362049 -0.011507 -3.027772  -1.21
C2 1.446482 0.634155 -2.164689  -1.01
H1 -0.487782 0.648098 -3.260075  0.62
H2 0.853645 -0.252986 -3.973348  0.60
H3 2.191551 -0.078720 -1.773081  0.34
H4 1.924174 1.440053 -2.729226  0.70
C3 -0.399699 2.802042 -1.292933  -1.45
H5 -0.604908 3.535275 -0.500199  0.37
H6 -1.355282 2.345034 -1.581306  0.32
H7 0.059140 3.303932 -2.159753  0.44
C4 2.338234 2.762006 -0.403406  -1.68
H8 2.289325 3.191510 -1.439789  0.46
H9 3.347490 2.306810 -0.318310  0.41
H10 2.209290 3.606963 0.318853  0.42
C5 -1.598627 -2.182164 -3.654846  -1.61
H11 -1.882501 -3.208791 -3.407081  0.34
H12 -1.208409 -2.156475 -4.674105  0.51
H13 -2.516185 -1.587460 -3.665648  0.38
C6 0.945702 -2.634384 -3.467043  -2.08
H14 1.968186 -2.313991 -3.216230  0.37
H15 0.750571 -2.438424 -4.528235  0.56
H16 0.806714 -3.715352 -3.274994  0.41
Pd1 1.612429 1.498483 1.074189  -0.58
C7 -1.479001 -0.434994 -0.253508  -1.74
C8 -1.953207 -0.920794 -1.483143  -0.04
C9 -3.067292 -1.868694 -0.964671  -1.01
C10 -2.426751 -3.168478 -0.429493  -0.62
C11 -1.213490 -3.584776 -1.091625  -1.44
C12 0.034558 -2.866548 -1.059411  -0.07
C13 0.532133 -2.039074 0.110543  -1.25
C14 -0.566491 -1.104105 0.667124  0.72
C15 1.948831 0.475587 3.376096  -1.37
H17 -1.720265 0.629042 0.010057  0.62
H18 -2.353721 -0.152814 -2.153822  0.89
H19 -3.814751 -2.079178 -1.738545  0.36
H20 -3.602121 -1.401319 -0.119820  0.43
____________
Each of the variables in the equation can be changed. However, these changes present trade-offs:
Increase the operating pressure. While an obvious first choice, this strategy may cause you to hit compressor strength and pressure rating limits. And, using a stronger compressor will require more energy.
Increase the piston surface area. Consider this approach when you have static operating pressure. However, increasing the piston surface area may call for a heavier, more robust design as well as additional tie rods to support the larger loads as well as an expanded footprint.
Increase the piston surface area by adding more pistons to act on the piston rod. You can, for example, triple your force output by incorporating three pistons on a single rod. This strategy adds length to the cylinder but will maximize the force output in a given space on a machine.
When you need to maintain a specific orientation:
If your actuator has a small bore, adding a dual, or twin, rod is an easy choice. A non-circular-shaped rod can also prevent unwanted rotation. Choices include a circular rod with flats throughout the piston rod, hex-shaped rods for single-acting cylinders or square rods for double-acting cylinders. Non-circular rods can be hard to seal. A third option — internal guide pins — does not increase the cylinder’s footprint. Note that the pins are not meant to bear loads, so the rod can only handle a limited amount of torque.
You Don’t Have To Go It Alone
Choosing the right cylinder does not mean you have to go it alone. Manufacturers can assist you in a variety of ways, such as with online tools. For example, Fabco-Air’s online Configure & CAD Tool lets users select a product to configure from the ground up, option by option. Fabco experts are also available to provide support, and we excel at creating custom “specials” for hard to satisfy requirements. When your application involves challenges that exceed what’s possible with standard pneumatic actuators, Fabco-Air offers a broad lineup of cylinders, accessories, online tools and technical support to meet your needs while saving you time and effort.
For more information about specifying pneumatic cylinders, download our white paper.